Using Facebook Places
- What is Facebook Places?
- How to Check In the Smart Way
- Being Smart with Facebook Places
- Facebook Places for Business
Facebook Places is a new tool from Facebook, launched in the middle of 2010. Here’s how to use it – and why it’s a good idea to at least try Facebook Places and get familiar with it. You can then understand it, manage how you and others check you in, and use it when it makes sense for you.
What is Facebook Places?
Next to the article, the page also holds crystal structures:
- - -
--- w ---
! K2CuC2O6 PBE-GGA optimized geometry; values from VASP
&SYSTEM
  ibrav = 0, nat = 22, ntyp = 4
/
ATOMIC_SPECIES
Cu 63.55 Cu.upf
C 12.01 C.upf
O 16.00 O.upf
K 39.10 K.upf
CELL_PARAMETERS angstrom
0.000 5.809 8.946
3.124 0.000 8.946
3.124 5.809 0.000
ATOMIC_POSITIONS crystal
Cu 0.250 0.254 0.245
C 0.256 0.997 0.577
O 0.313 0.088 0.480
O 0.094 0.217 0.242
Cu 0.996 0.999 0.006
O 0.993 0.817 0.164
C 0.251 0.997 0.094
C 0.168 0.577 0.999
O 0.020 0.172 0.815
K 0.576 0.020 0.583
O 0.352 0.471 0.767
C 0.660 0.090 0.997
K 0.661 0.434 0.682
O 0.448 0.242 0.221
O 0.102 0.496 0.097
O 0.470 0.855 0.909
K 0.220 0.677 0.432
O 0.756 0.145 0.949
O 0.780 0.902 0.838
O 0.157 0.948 0.141
K 0.806 0.591 0.029
O 0.402 0.772 0.473
! - total magnetic moment (μB/cell) = 1.985
! - crystal system = triclinic
! - space-group type = P1 (1)

=====

--- x ---
! K2CuC2O6 PBE-GGA optimized geometry; values from VASP
&SYSTEM
  ibrav = 0, nat = 22, ntyp = 4
/
ATOMIC_SPECIES
O 16.00 O.upf
K 39.10 K.upf
C 12.01 C.upf
Cu 63.55 Cu.upf
CELL_PARAMETERS angstrom
6.671 -5.633 6.127
8.321 0.543 4.501
-1.979 -1.766 6.040
ATOMIC_POSITIONS crystal
O 0.160 0.941 0.139
O 0.403 0.776 0.477
K 0.815 0.585 0.025
O 0.087 0.221 0.250
O 0.000 0.808 0.163
C 0.247 0.999 0.090
K 0.665 0.435 0.675
O 0.029 0.163 0.808
C 0.664 0.090 0.999
O 0.760 0.139 0.941
Cu 0.002 0.998 0.998
K 0.575 0.025 0.585
O 0.474 0.847 0.906
O 0.442 0.250 0.221
O 0.111 0.490 0.090
C 0.251 0.003 0.586
O 0.309 0.090 0.490
K 0.225 0.675 0.435
O 0.344 0.477 0.776
Cu 0.252 0.248 0.248
C 0.160 0.586 0.003
O 0.773 0.906 0.847
! - crystal system = orthorhombic
! - space-group type = Fdd2 (43)

=====

In eV/atom, relative to the most stable structure: w 0.034; x 0.000.

=====

--- w ---
! Li2Cu3C3O9 PBE-GGA optimized geometry; values from VASP
&SYSTEM
  ibrav = 0, nat = 102, ntyp = 4
/
ATOMIC_SPECIES
Li 6.94 Li.upf
O 16.00 O.upf
C 12.01 C.upf
Cu 63.55 Cu.upf
CELL_PARAMETERS angstrom
-0.267 1.569 -14.153
-7.097 -10.713 6.177
-5.100 3.618 0.555
ATOMIC_POSITIONS crystal
Li 0.788 0.906 0.246
O 0.080 0.406 0.253
O 0.080 0.098 0.525
Li 0.800 0.546 0.244
O 0.910 0.648 0.481
Li 0.435 0.554 0.228
C 0.332 0.666 0.995
Cu 0.527 0.096 0.022
O 0.910 0.649 0.990
Cu 0.566 0.462 0.990
C 0.659 0.996 0.003
O 0.359 0.765 0.022
O 0.574 0.325 0.520
O 0.573 0.325 0.983
O 0.588 0.669 0.229
O 0.564 0.980 0.517
O 0.017 0.920 0.021
O 0.247 0.025 0.756
O 0.408 0.641 0.470
C 0.678 0.668 0.235
C 0.678 0.668 0.735
C 0.000 0.000 0.002
Cu 0.895 0.119 0.496
Li 0.118 0.215 0.756
Cu 0.887 0.775 0.987
O 0.899 0.981 0.503
O 0.317 0.911 0.276
O 0.676 0.914 0.974
O 0.899 0.981 0.993
O 0.755 0.427 0.492
O 0.745 0.093 0.518
O 0.022 0.581 0.515
O 0.424 0.093 0.259
Cu 0.547 0.773 0.468
O 0.346 0.261 0.963
O 0.346 0.260 0.502
O 0.745 0.094 0.018
C 0.328 0.006 0.263
O 0.677 0.576 0.737
O 0.231 0.590 0.987
O 0.430 0.100 0.759
C 0.009 0.665 0.001
C 0.659 0.996 0.503
Li 0.747 0.203 0.252
O 0.985 0.227 0.755
O 0.771 0.759 0.240
O 0.674 0.244 0.000
O 0.241 0.017 0.255
- - -
So much for the crystal structures:
The core of Facebook Places is simple: it lets you “check in” to any location. Checking in using Facebook simply puts a statement on your Wall and your Facebook profile page that you’re in a given location, as shown in Figure 1. The statement will show up on your friends’ News Feed too, as well as the Place page where you check in.

Figure 1 Checking in via Facebook Places
Facebook check-ins are similar to the existing services Foursquare and Gowalla. These services became pretty popular among some groups of people in the last year or two – mostly younger people with iPhones – but hadn’t yet reached the consciousness of the general public. With Facebook, bringing along more than 500 million users, checking in is likely to become mainstream.
You can not only check in yourselfyou can check in friends who are with you as well. (But you should ask them first, as described below.) Facebook does check that you’re actually near the place you’re checking into, but it trusts you to be honest about whether the friend is actually there or not. Once you check a friend in, a “checked in” statement will show up on their Wall, and their friends’ Wall too.
This core checking-in capability is fun. Used this way, Facebook Places is kind of a geo-aware status update. It makes Facebook that much more useful as a kind of scrapbook for your life, shared with friends, and available for review or reminiscing any time.
Once you check in, you can also check the “Here Now” list that appears, to see who else is checked in where you are. It’s not only your friends who appear, thoughanyone who’s used Facebook to check in shows up, unless they’ve changed their privacy settings to avoid it. This is a way you can meet new peopleor they can meet you, which might seem cool, or a bit creepy, depending on the circumstances.
And then there’s the part where Facebook has the chance to make some money. When you check into a business, the business can offer you a Facebook Deal. This is usually a special offer or discount. It can also be a charitable contribution, pledged if you make a purchase. Once you use a Deal, it’s easy to let your friends know about it too.
You don’t pay anything to take advantage of a Facebook Deal, but businesses pay Facebook to offer them; Facebook Deals are a form of advertising. An early Facebook Deal is shown in Figure 2. This is where the money is for Facebook, so expect Facebook to push Facebook Places and Deals quite hard from here on out.

Figure 2 Starbucks offers a charitable Facebook Deal.
Should you use Facebook Places? I recommend that you at least try it. Check in a few places; with permission, check in friends with you. Consider adding a photo after you check in, to give context – and try using a Deal, if it makes sense. Checking in really extends Facebook’s usefulness as a kind of digital scrapbook today, and is likely to become part of how you find cool places and, yes, deals going forward.